Men’s Fitness: Don’t believe the lies that you tell yourself that reinforce these unconscious behavior patterns:

You are the collection of your HabitsDon’t believe the lies that you tell yourself that reinforce these unconscious behavior patterns : Binge EatingNo amount of food or comfort is going to cover up the reality of the situation your in. Addictions are just forms of escapism that numb the mind and distract us from theContinue reading “Men’s Fitness: Don’t believe the lies that you tell yourself that reinforce these unconscious behavior patterns:”

Men’s Fitness: I don’t say this lightly…

I don’t say this lightly… If you want to lose the weight and keep it off… the 1 # exercise you should focus on is HABIT. If you want to lose 12-24lbs and feel what it feels like to look down and see your flat stomach again. If you want to feel powerful and confidentContinue reading “Men’s Fitness: I don’t say this lightly…”

Men’s Fitness: Feeling angry or stuck with your weight loss goals?

Feeling angry or stuck with your weight loss goals? I get it man. It takes a lot of energy It ain’t easy to get and STAY in shape when we live in a world of constant stress to provide on top of having minimal time to prioritize health. Family needs your energy, Work needs youContinue reading “Men’s Fitness: Feeling angry or stuck with your weight loss goals?”

Men’s Fitness Coaching: You’re a Liar

You’re a Liar. And it’s the #1 reason you’re not where you want to be with your fitness and every other pillar of success in your life. That may sting but let me explain, Maybe your not currently in a crisis but deep down you know that “good enough” is killing you slowly. Or maybeContinue reading “Men’s Fitness Coaching: You’re a Liar”

Men’s Fitness Coaching Program– New Year Beta Launch

New Years Beta Launch So I’m thinking of putting together 5-10 busy guys who want to go into 2022 with a fire in their bellies, feeling revitalized and powerful, This will be for you if you want to drop between 12 and 24+ lbs in 12-16 weeks and you want to get your vigor, energy,Continue reading “Men’s Fitness Coaching Program– New Year Beta Launch”

Men’s Fitness: As men today, we may often feel the need to take up less space or make ourselves smaller.

You are the collection of your Habits As men today, we may often feel the need to take up less space or make ourselves smaller. Masculinity has gone through many iterations and societal perceptions since the birth of the ancient man. We can either blame society for the degradation of masculinity or we can takeContinue reading “Men’s Fitness: As men today, we may often feel the need to take up less space or make ourselves smaller.”

== Between two parts of the article: records of crystals ==
____________
[1]
Diffraction record for CaPmNd14. The powder X-ray diffraction pattern is calculated, not measured: it uses a GGA-PBE-relaxed structure and Cu Kα (weighted mean of Kα1 and Kα2).
Intensities are scaled so that the largest is 100.

Structure:
```
data_CaPmNd14
_chemical_formula_sum 'Ca1 Pm1 Nd14'
_cell_length_a 7.3815
_cell_length_b 7.3815
_cell_length_c 10.4103
_cell_angle_alpha 90.00
_cell_angle_beta 90.00
_cell_angle_gamma 90.00
_symmetry_space_group_name_H-M 'P 4/m m m'
_symmetry_Int_Tables_number 123
_symmetry_space_group_name_Hall '-P 4 2'
loop_
_atom_site_label
_atom_site_type_symbol
_atom_site_fract_x
_atom_site_fract_y
_atom_site_fract_z
Ca1 Ca 0.0000 0.0000 0.0000
Pm1 Pm 0.5000 0.5000 0.0000
Nd1 Nd 0.0000 0.0000 0.5000
Nd2 Nd 0.0000 0.5000 0.0000
Nd3 Nd 0.0000 0.5000 0.5000
Nd4 Nd 0.2532 0.2532 0.2524
Nd5 Nd 0.5000 0.5000 0.5000
```

Main lines, by intensity (2θ = 15–90°):
2θ/deg, d [Å], I/Imax, (hkl)
29.7, 3.011, 100.0, 2 0 2
34.4, 2.607, 50.7, 2 2 0
49.4, 1.844, 36.3, 4 0 0
58.7, 1.573, 28.9, 4 2 2
58.8, 1.570, 14.3, 2 0 6
61.6, 1.505, 12.4, 4 0 4

[2]
Diffraction record for CaPm7Nd12. The powder X-ray diffraction pattern is calculated, not measured: it uses a GGA-PBE-relaxed structure and Cu Kα (weighted mean of Kα1 and Kα2).
Intensities are scaled so that the largest is 100.

Structure:
```
data_CaPm7Nd12
_chemical_formula_sum 'Ca2 Pm14 Nd24'
_cell_length_a 11.6907
_cell_length_b 11.6907
_cell_length_c 11.6907
_cell_angle_alpha 90.00
_cell_angle_beta 90.00
_cell_angle_gamma 90.00
_symmetry_space_group_name_H-M 'I m -3'
_symmetry_Int_Tables_number 204
_symmetry_space_group_name_Hall '-I 2 2 3'
loop_
_atom_site_label
_atom_site_type_symbol
_atom_site_fract_x
_atom_site_fract_y
_atom_site_fract_z
Ca1 Ca 0.0000 0.0000 0.0000
Pm1 Pm 0.0000 0.0000 0.5000
Pm2 Pm 0.2500 0.2500 0.2500
Nd1 Nd 0.0000 0.2550 0.2539
```

Main lines, by intensity (2θ = 15–90°):
2θ/deg, d [Å], I/Imax, (hkl)
30.6, 2.923, 100.0, 4 0 0
43.8, 2.067, 74.3, 4 4 0
26.4, 3.375, 65.5, 2 2 2
72.3, 1.307, 32.9, 8 4 0
15.2, 5.845, 31.7, 2 0 0
51.9, 1.762, 30.0, 6 2 2

[3]
Diffraction record for CaPm6Nd2. The powder X-ray diffraction pattern is calculated, not measured: it uses a GGA-PBE-relaxed structure and Cu Kα (weighted mean of Kα1 and Kα2).
Intensities are scaled so that the largest is 100.

Structure:
```
data_CaPm6Nd2
_chemical_formula_sum 'Ca4 Pm24 Nd8'
_cell_length_a 17.9797
_cell_length_b 11.1333
_cell_length_c 6.4007
_cell_angle_alpha 90.00
_cell_angle_beta 96.80
_cell_angle_gamma 90.00
_symmetry_space_group_name_H-M 'C 1 2/c 1'
_symmetry_Int_Tables_number 15
_symmetry_space_group_name_Hall '-C 2yc'
loop_
_atom_site_label
_atom_site_type_symbol
_atom_site_fract_x
_atom_site_fract_y
_atom_site_fract_z
Ca1 Ca 0.0000 0.0839 0.2500
Pm1 Pm 0.0000 0.2592 0.7500
Pm2 Pm 0.0000 0.4196 0.2500
Pm3 Pm 0.1669 0.2489 0.1354
Pm4 Pm 0.1711 0.0865 0.6462
Nd1 Nd 0.1667 0.4154 0.6386
```

Main lines, by intensity (2θ = 15–90°):
2θ/deg, d [Å], I/Imax, (hkl)
____________

Men’s Fitness Video: Your Story around your Genetics is a Lie!?

Are you telling yourself a story around your genetics? That you’ll never be able to obtain the lean, muscular, physique that you desire because of the genes you inherited? I’m telling you right now, It’s bullshit. You get to choose in this lifetime which genes you express and which you don’t. In this video IContinue reading “Men’s Fitness Video: Your Story around your Genetics is a Lie!?”

Men’s Fitness: I haven’t tracked calories or macros in over 4 years.

I haven’t tracked calories or macros in 4 years. I was a complete neurotic with my nutrition from 2014- 2016. I’d weigh out my food on a scale. Miss social events. And basically wonder around like a fitness zombie. Eventually I had enough. I was missing out on life and my results to show forContinue reading “Men’s Fitness: I haven’t tracked calories or macros in over 4 years.”

Join Fitness Coaching Program–Less Than ___ Days till it’s 2022

Less than X amount of days till it’s 2022… Planning on coming out on top, leaner and more muscular than before? Or is it going to be another New Years eve feeling like you’re already too far behind to even get started on your weightloss goals? … I’m putting together 2-3 high achievers who areContinue reading “Join Fitness Coaching Program–Less Than ___ Days till it’s 2022”